## Excerpt
Entry 1:
Compound: ScTiO3
Source: Materials Project
Functional: PBE
Structure: optimized geometry Values from VASP.

The structure in Quantum ESPRESSO input format:
```
&SYSTEM
  ibrav = 0, nat = 10, ntyp = 3
/
ATOMIC_SPECIES
Sc 44.96 Sc.upf
Ti 47.87 Ti.upf
O 16.00 O.upf
ATOMIC_POSITIONS crystal
Sc 0.144 0.144 0.144
Sc 0.856 0.856 0.856
Ti 0.349 0.349 0.349
Ti 0.651 0.651 0.651
O 0.056 0.739 0.449
O 0.261 0.551 0.944
O 0.449 0.056 0.739
O 0.551 0.944 0.261
O 0.739 0.449 0.056
O 0.944 0.261 0.551
CELL_PARAMETERS angstrom
2.623 1.515 4.760
-2.623 1.515 4.760
0.000 -3.029 4.760
```

Output
- Symmetry: No. 148
- Total moment: 1.00 μB per formula unit


Entry 2:
Compound: Sc2Ti2O7
Source: Materials Project
Functional: PBE
Structure: optimized geometry Values from VASP.

The structure in Quantum ESPRESSO input format:
```
&SYSTEM
  ibrav = 0, nat = 11, ntyp = 3
/
ATOMIC_SPECIES
Sc 44.96 Sc.upf
Ti 47.87 Ti.upf
O 16.00 O.upf
ATOMIC_POSITIONS crystal
Sc 0.188 0.812 0.000
Sc 0.812 0.188 0.000
Ti 0.245 0.245 0.606
Ti 0.755 0.755 0.394
O 0.068 0.068 0.268
O 0.099 0.444 0.801
O 0.444 0.099 0.801
O 0.500 0.500 0.500
O 0.556 0.901 0.199
O 0.901 0.556 0.199
O 0.932 0.932 0.732
CELL_PARAMETERS angstrom
3.206 -4.494 0.000
3.206 4.494 0.000
-0.927 0.000 5.138
```

Output
- Symmetry: No. 12
- Polymorph energy (0 for the lowest one): 0.0 kJ/mol of atoms


Entry 3:
Compound: Sc2Ti2O7
Source: Materials Project
Functional: PBE
Structure: optimized geometry Values from VASP.

The structure in Quantum ESPRESSO input format:
```
&SYSTEM
  ibrav = 0, nat = 88, ntyp = 3
/
ATOMIC_SPECIES
Sc 44.96 Sc.upf
Ti 47.87 Ti.upf
O 16.00 O.upf
ATOMIC_POSITIONS crystal
Sc 0.138 0.000 0.279
Sc 0.178 0.935 0.799
Sc 0.217 0.415 0.931
Sc 0.230 0.458 0.466
Sc 0.272 0.962 0.033
Sc 0.282 0.914 0.569
Sc 0.332 0.431 0.697
Sc 0.357 0.511 0.222
Sc 0.643 0.011 0.778
Sc 0.668 0.931 0.303
Sc 0.718 0.414 0.431
Sc 0.728 0.462 0.967
Sc 0.770 0.958 0.534
Sc 0.783 0.915 0.069
Sc 0.822 0.435 0.201
Sc 0.862 0.500 0.721
Ti 0.029 0.441 0.562
Ti 0.035 0.440 0.060
Ti 0.070 0.949 0.663
Ti 0.086 0.944 0.162
Ti 0.416 0.439 0.339
Ti 0.430 0.457 0.836
Ti 0.465 0.938 0.440
Ti 0.470 0.946 0.937
Ti 0.530 0.446 0.063
Ti 0.535 0.438 0.560
Ti 0.570 0.957 0.164
Ti 0.584 0.939 0.661
Ti 0.914 0.444 0.838
Ti 0.930 0.449 0.337
Ti 0.965 0.940 0.940
Ti 0.971 0.941 0.438
O 0.006 0.592 0.413
O 0.018 0.139 0.886
O 0.050 0.275 0.689
O 0.054 0.717 0.216
O 0.066 0.230 0.988
O 0.076 0.725 0.513
O 0.100 0.101 0.089
O 0.141 0.631 0.618
O 0.145 0.221 0.211
O 0.154 0.752 0.725
O 0.168 0.306 0.335
O 0.174 0.583 0.847
O 0.218 0.064 0.440
O 0.228 0.800 0.957
O 0.271 0.299 0.543
O 0.282 0.566 0.060
O 0.324 0.078 0.649
O 0.333 0.810 0.165
O 0.351 0.257 0.773
O 0.358 0.138 0.881
O 0.361 0.730 0.293
O 0.403 0.596 0.412
O 0.424 0.226 0.986
O 0.435 0.729 0.512
O 0.456 0.783 0.810
O 0.457 0.228 0.284
O 0.481 0.629 0.615
O 0.495 0.096 0.088
O 0.505 0.596 0.912
O 0.519 0.129 0.385
O 0.543 0.728 0.716
O 0.544 0.283 0.190
O 0.565 0.229 0.488
O 0.576 0.726 0.014
O 0.597 0.096 0.588
O 0.639 0.230 0.707
O 0.642 0.638 0.119
O 0.649 0.757 0.227
O 0.667 0.310 0.835
O 0.676 0.578 0.351
O 0.718 0.066 0.940
O 0.729 0.799 0.457
O 0.772 0.300 0.043
O 0.782 0.564 0.560
O 0.826 0.083 0.153
O 0.832 0.806 0.665
O 0.846 0.252 0.275
O 0.855 0.721 0.789
O 0.859 0.131 0.382
O 0.900 0.601 0.911
O 0.924 0.225 0.487
O 0.934 0.730 0.012
O 0.946 0.217 0.784
O 0.950 0.775 0.311
O 0.982 0.639 0.114
O 0.994 0.092 0.587
CELL_PARAMETERS angstrom
7.364 0.000 0.000
0.000 5.098 0.000
-3.633 0.000 25.676
```

Output
- Symmetry: No. 4
- Total moment: 0.00 μB per formula unit
- Polymorph energy (0 for the lowest one): 5.5 kJ/mol of atoms


Entry 4:
Compound: ScTiO3
Source: Materials Project
Functional: PBE
Structure: optimized geometry Values from VASP.

The structure in Quantum ESPRESSO input format:
```
&SYSTEM
  ibrav = 0, nat = 20, ntyp = 3
/
ATOMIC_SPECIES
Sc 44.96 Sc.upf
Ti 47.87 Ti.upf
O 16.00 O.upf
ATOMIC_POSITIONS crystal
Sc 0.069 0.020 0.000

## Job
Could you retype only the lines further up with the word "one" in them?

## Response
- Polymorph energy (0 for the lowest one): 0.0 kJ/mol of atoms
- Polymorph energy (0 for the lowest one): 5.5 kJ/mol of atoms